# Data
~~~
[1]
The following is a quantum chemistry calculation of 9 unconnected molecules or ions with the total composition C66H89ClF3N9O5S2, from the OMol25 dataset.

Calculated values
HOMO-LUMO gap	9.069	eV
SMILES	CC[C@@H](C)[C@H](CCCS)O[C@@](S)(CCCCN)[C@H](COC(F)(F)F)O[C@@H](CCCCOC(C)=O)[C@@H](Cl)CC.c1ccncc1.c1ccncc1.c1ccncc1.c1ccncc1.c1ccncc1.c1ccncc1.c1ccncc1.c1ccncc1

Atoms and positions in Å:
C1 3.7077 -2.9624 0.4226
C2 4.2733 -1.4426 0.4815
C3 3.0662 -0.4046 0.6459
C4 3.4971 0.9527 1.4358
C5 2.2777 -0.0693 -0.7277
C6 3.2194 -0.0161 -2.0268
C7 3.4563 -1.4289 -2.7433
C8 2.1261 -2.1870 -3.2185
S1 1.1109 -1.2885 -4.4829
O1 1.6976 1.2494 -0.5697
C9 0.2676 1.2309 -0.4229
S2 -0.3237 0.1199 0.9926
C10 -0.1387 2.7468 0.0490
C11 -1.4264 2.8160 0.9968
C12 -1.9362 4.3696 0.9490
C13 -3.0284 4.5356 -0.2428
N1 -2.4814 5.3628 -1.3904
C14 -0.5457 0.7343 -1.7202
C15 -0.5526 1.8163 -2.9289
O2 0.7626 1.9127 -3.5454
C16 1.1772 3.2426 -3.6950
F1 2.3487 3.1996 -4.5128
F2 1.6131 3.8325 -2.4670
F3 0.2610 4.0663 -4.3745
O3 -1.9259 0.5737 -1.3248
C17 -2.5462 -0.6001 -1.8906
C18 -3.4612 -1.2364 -0.6965
C19 -2.7048 -2.4669 0.0309
C20 -3.6850 -3.7003 0.3900
C21 -3.2896 -4.9983 -0.4819
O4 -1.9430 -5.5064 -0.1244
C22 -1.3928 -5.9164 -1.3927
C23 -0.0600 -5.2228 -1.9818
O5 -1.9702 -6.8320 -2.0377
C24 -3.5995 -0.2349 -3.0742
Cl1 -4.3036 -1.7721 -3.8497
C25 -4.7611 0.7277 -2.4889
C26 -5.6170 1.4183 -3.6746
H1 2.6439 -3.0103 -0.0211
H2 4.3836 -3.6448 -0.2183
H3 3.6967 -3.4417 1.4705
H4 5.0156 -1.2021 -0.3466
H5 4.8762 -1.3906 1.4670
H6 2.3048 -0.9131 1.3518
H7 4.1102 0.6930 2.3760
H8 2.5219 1.4217 1.8394
H9 4.0151 1.7117 0.7644
H10 1.5326 -0.9152 -0.8903
H11 2.8948 0.7348 -2.8175
H12 4.2552 0.3399 -1.6541
H13 4.0580 -1.2038 -3.7057
H14 4.1180 -2.1566 -2.1482
H15 1.5263 -2.5213 -2.2943
H16 2.4773 -3.1712 -3.7122
H17 1.9350 -0.3501 -5.1098
H18 -0.0065 0.7403 2.1991
H19 -0.1814 3.4811 -0.8195
H20 0.7563 3.0810 0.7006
H21 -2.3115 2.1879 0.6573
H22 -1.2093 2.6149 2.1050
H23 -1.0492 5.0173 0.6447
H24 -2.3609 4.7074 1.9673
H25 -3.3278 3.5258 -0.6864
H26 -3.9695 5.0845 0.1371
H27 -2.4926 4.7315 -2.2101
H28 -3.1381 6.1222 -1.6356
H29 -0.0592 -0.2043 -2.1561
H30 -1.0254 2.8109 -2.6428
H31 -1.2485 1.3554 -3.7286
H32 -1.8315 -1.4331 -2.1944
H33 -3.6507 -0.4157 0.0799
H34 -4.4587 -1.6366 -1.0711
H35 -2.2431 -2.1118 1.0125
H36 -1.8610 -2.8942 -0.6073
H37 -4.7841 -3.4155 0.2163
H38 -3.5974 -4.0201 1.4935
H39 -4.0072 -5.8677 -0.3018
H40 -3.2810 -4.6431 -1.5782
H41 -0.0776 -5.2827 -3.1174
H42 0.8480 -5.7695 -1.5301
H43 -0.0014 -4.1299 -1.6184
H44 -3.1235 0.3427 -3.9327
H45 -5.5143 0.1541 -1.8464
H46 -4.3283 1.5916 -1.8601
H47 -5.0804 1.2174 -4.6648
H48 -5.7713 2.5431 -3.5102
H49 -6.6710 0.9696 -3.7524
C27 1.4987 1.6264 -9.5600
C28 0.9678 1.9849 -8.3298
C29 1.4370 1.3359 -7.1996
N2 2.3753 0.3752 -7.2244
C30 2.8708 0.0464 -8.4276
C31 2.4708 0.6379 -9.6145
H50 1.1582 2.1123 -10.4678
H51 0.2070 2.7513 -8.2502
H52 1.0548 1.5834 -6.2143
H53 3.6252 -0.7337 -8.4189
H54 2.9074 0.3336 -10.5574
C32 -4.7025 -8.6639 2.4408
C33 -4.7867 -8.6977 3.8252
C34 -4.0130 -7.8063 4.5509
N3 -3.1818 -6.9121 3.9929
C35 -3.1178 -6.9011 2.6518
C36 -3.8527 -7.7480 1.8374
H55 -5.2932 -9.3448 1.8378
H56 -5.4387 -9.4001 4.3294
H57 -4.0464 -7.7919 5.6354
H58 -2.4369 -6.1706 2.2277
H59 -3.7626 -7.6936 0.7597
C37 0.8938 6.9760 -0.0567
C38 1.7883 6.1069 -0.6646
C39 3.1274 6.1975 -0.3193
N4 3.6126 7.0809 0.5679
C40 2.7263 7.9110 1.1399
C41 1.3681 7.8980 0.8657
H60 -0.1631 6.9350 -0.2998
H61 1.4527 5.3757 -1.3895
H62 3.8648 5.5376 -0.7649
H63 3.1458 8.6157 1.8510
H64 0.6983 8.5911 1.3598
C42 -4.2004 10.7137 0.1570
C43 -5.1413 9.7662 0.5324
C44 -5.0923 8.5195 -0.0697
N5 -4.1883 8.1738 -1.0003
C45 -3.2904 9.1100 -1.3464
C46 -3.2532 10.3829 -0.8010
H65 -4.2052 11.7007 0.6065
H66 -5.8956 9.9904 1.2762
H67 -5.8046 7.7442 0.1929
H68 -2.5729 8.8051 -2.1016
H69 -2.5038 11.0974 -1.1173
C47 1.2834 -8.1421 2.4644
C48 0.3593 -7.1122 2.3631
C49 0.8269 -5.8367 2.0971
N6 2.1238 -5.5342 1.9336
C50 2.9982 -6.5469 2.0377
~~~

# Wanted
Type out the listing further above unchanged.

# Here it is
[1]
The following is a quantum chemistry calculation of 9 unconnected molecules or ions with the total composition C66H89ClF3N9O5S2, from the OMol25 dataset.

Calculated values
HOMO-LUMO gap	9.069	eV
SMILES	CC[C@@H](C)[C@H](CCCS)O[C@@](S)(CCCCN)[C@H](COC(F)(F)F)O[C@@H](CCCCOC(C)=O)[C@@H](Cl)CC.c1ccncc1.c1ccncc1.c1ccncc1.c1ccncc1.c1ccncc1.c1ccncc1.c1ccncc1.c1ccncc1

Atoms and positions in Å:
C1 3.7077 -2.9624 0.4226
C2 4.2733 -1.4426 0.4815
C3 3.0662 -0.4046 0.6459
C4 3.4971 0.9527 1.4358
C5 2.2777 -0.0693 -0.7277
C6 3.2194 -0.0161 -2.0268
C7 3.4563 -1.4289 -2.7433
C8 2.1261 -2.1870 -3.2185
S1 1.1109 -1.2885 -4.4829
O1 1.6976 1.2494 -0.5697
C9 0.2676 1.2309 -0.4229
S2 -0.3237 0.1199 0.9926
C10 -0.1387 2.7468 0.0490
C11 -1.4264 2.8160 0.9968
C12 -1.9362 4.3696 0.9490
C13 -3.0284 4.5356 -0.2428
N1 -2.4814 5.3628 -1.3904
C14 -0.5457 0.7343 -1.7202
C15 -0.5526 1.8163 -2.9289
O2 0.7626 1.9127 -3.5454
C16 1.1772 3.2426 -3.6950
F1 2.3487 3.1996 -4.5128
F2 1.6131 3.8325 -2.4670
F3 0.2610 4.0663 -4.3745
O3 -1.9259 0.5737 -1.3248
C17 -2.5462 -0.6001 -1.8906
C18 -3.4612 -1.2364 -0.6965
C19 -2.7048 -2.4669 0.0309
C20 -3.6850 -3.7003 0.3900
C21 -3.2896 -4.9983 -0.4819
O4 -1.9430 -5.5064 -0.1244
C22 -1.3928 -5.9164 -1.3927
C23 -0.0600 -5.2228 -1.9818
O5 -1.9702 -6.8320 -2.0377
C24 -3.5995 -0.2349 -3.0742
Cl1 -4.3036 -1.7721 -3.8497
C25 -4.7611 0.7277 -2.4889
C26 -5.6170 1.4183 -3.6746
H1 2.6439 -3.0103 -0.0211
H2 4.3836 -3.6448 -0.2183
H3 3.6967 -3.4417 1.4705
H4 5.0156 -1.2021 -0.3466
H5 4.8762 -1.3906 1.4670
H6 2.3048 -0.9131 1.3518
H7 4.1102 0.6930 2.3760
H8 2.5219 1.4217 1.8394
H9 4.0151 1.7117 0.7644
H10 1.5326 -0.9152 -0.8903
H11 2.8948 0.7348 -2.8175
H12 4.2552 0.3399 -1.6541
H13 4.0580 -1.2038 -3.7057
H14 4.1180 -2.1566 -2.1482
H15 1.5263 -2.5213 -2.2943
H16 2.4773 -3.1712 -3.7122
H17 1.9350 -0.3501 -5.1098
H18 -0.0065 0.7403 2.1991
H19 -0.1814 3.4811 -0.8195
H20 0.7563 3.0810 0.7006
H21 -2.3115 2.1879 0.6573
H22 -1.2093 2.6149 2.1050
H23 -1.0492 5.0173 0.6447
H24 -2.3609 4.7074 1.9673
H25 -3.3278 3.5258 -0.6864
H26 -3.9695 5.0845 0.1371
H27 -2.4926 4.7315 -2.2101
H28 -3.1381 6.1222 -1.6356
H29 -0.0592 -0.2043 -2.1561
H30 -1.0254 2.8109 -2.6428
H31 -1.2485 1.3554 -3.7286
H32 -1.8315 -1.4331 -2.1944
H33 -3.6507 -0.4157 0.0799
H34 -4.4587 -1.6366 -1.0711
H35 -2.2431 -2.1118 1.0125
H36 -1.8610 -2.8942 -0.6073
H37 -4.7841 -3.4155 0.2163
H38 -3.5974 -4.0201 1.4935
H39 -4.0072 -5.8677 -0.3018
H40 -3.2810 -4.6431 -1.5782
H41 -0.0776 -5.2827 -3.1174
H42 0.8480 -5.7695 -1.5301
H43 -0.0014 -4.1299 -1.6184
H44 -3.1235 0.3427 -3.9327
H45 -5.5143 0.1541 -1.8464
H46 -4.3283 1.5916 -1.8601
H47 -5.0804 1.2174 -4.6648
H48 -5.7713 2.5431 -3.5102
H49 -6.6710 0.9696 -3.7524
C27 1.4987 1.6264 -9.5600
C28 0.9678 1.9849 -8.3298
C29 1.4370 1.3359 -7.1996
N2 2.3753 0.3752 -7.2244
C30 2.8708 0.0464 -8.4276
C31 2.4708 0.6379 -9.6145
H50 1.1582 2.1123 -10.4678
H51 0.2070 2.7513 -8.2502
H52 1.0548 1.5834 -6.2143
H53 3.6252 -0.7337 -8.4189
H54 2.9074 0.3336 -10.5574
C32 -4.7025 -8.6639 2.4408
C33 -4.7867 -8.6977 3.8252
C34 -4.0130 -7.8063 4.5509
N3 -3.1818 -6.9121 3.9929
C35 -3.1178 -6.9011 2.6518
C36 -3.8527 -7.7480 1.8374
H55 -5.2932 -9.3448 1.8378
H56 -5.4387 -9.4001 4.3294
H57 -4.0464 -7.7919 5.6354
H58 -2.4369 -6.1706 2.2277
H59 -3.7626 -7.6936 0.7597
C37 0.8938 6.9760 -0.0567
C38 1.7883 6.1069 -0.6646
C39 3.1274 6.1975 -0.3193
N4 3.6126 7.0809 0.5679
C40 2.7263 7.9110 1.1399
C41 1.3681 7.8980 0.8657
H60 -0.1631 6.9350 -0.2998
H61 1.4527 5.3757 -1.3895
H62 3.8648 5.5376 -0.7649
H63 3.1458 8.6157 1.8510
H64 0.6983 8.5911 1.3598
C42 -4.2004 10.7137 0.1570
C43 -5.1413 9.7662 0.5324
C44 -5.0923 8.5195 -0.0697
N5 -4.1883 8.1738 -1.0003
C45 -3.2904 9.1100 -1.3464
C46 -3.2532 10.3829 -0.8010
H65 -4.2052 11.7007 0.6065
H66 -5.8956 9.9904 1.2762
H67 -5.8046 7.7442 0.1929
H68 -2.5729 8.8051 -2.1016
H69 -2.5038 11.0974 -1.1173
C47 1.2834 -8.1421 2.4644
C48 0.3593 -7.1122 2.3631
C49 0.8269 -5.8367 2.0971
N6 2.1238 -5.5342 1.9336
C50 2.9982 -6.5469 2.0377